== Excerpt ==
(1)
A geometry-optimized CsAgTe2 structure, computed with GGA-PBEsol.

The structure in CIF format:
```
data_CsAgTe2
_cell_length_a 10.680
_cell_length_b 7.230
_cell_length_c 7.377
_cell_angle_alpha 90.00
_cell_angle_beta 98.04
_cell_angle_gamma 90.00
_symmetry_space_group_name_H-M 'C 1 2/m 1'
_symmetry_Int_Tables_number 12
loop_
_symmetry_equiv_pos_as_xyz
'x,y,z'
'-x,-y,-z'
'-x,y,-z'
'x,-y,z'
'x+1/2,y+1/2,z'
'-x+1/2,-y+1/2,-z'
'-x+1/2,y+1/2,-z'
'x+1/2,-y+1/2,z'
loop_
_atom_site_label
_atom_site_fract_x
_atom_site_fract_y
_atom_site_fract_z
Cs1 0.213 0.000 0.195
Ag1 0.000 0.302 0.500
Te1 0.101 0.500 0.222
Te2 0.133 0.000 0.671
```

## Properties
energy relative to the elements, uncorrected = -487 meV/atom
total DFT energy (no corrections) = -53.02 eV for the cell shown

=====

(2)
A geometry-optimized CsAgTe2 structure, computed with GGA-PBEsol.

The structure in CIF format:
```
data_CsAgTe2
_cell_length_a 5.963
_cell_length_b 5.963
_cell_length_c 18.416
_cell_angle_alpha 90.00
_cell_angle_beta 90.00
_cell_angle_gamma 90.00
_symmetry_space_group_name_H-M 'I -4 2 d'
_symmetry_Int_Tables_number 122
_symmetry_space_group_name_Hall 'I -4 2bw'
loop_
_atom_site_label
_atom_site_fract_x
_atom_site_fract_y
_atom_site_fract_z
Cs1 0.000 0.000 0.000
Ag1 0.000 0.000 0.500
Te1 0.060 0.250 0.625
```

## Properties
energy relative to the elements, uncorrected = -398 meV/atom
total DFT energy (no corrections) = -51.60 eV for the cell shown

=====

(3)
A geometry-optimized Cs2ZrAg2Te4 structure, computed with GGA-PBEsol.

The structure in CIF format:
```
data_Cs2ZrAg2Te4
_cell_length_a 6.475
_cell_length_b 15.019
_cell_length_c 6.474
_cell_angle_alpha 90.00
_cell_angle_beta 90.00
_cell_angle_gamma 90.00
_symmetry_space_group_name_H-M 'C 2 2 2'
_symmetry_Int_Tables_number 21
loop_
_symmetry_equiv_pos_as_xyz
'x,y,z'
'-x,-y,z'
'x,-y,-z'
'-x,y,-z'
'x+1/2,y+1/2,z'
'-x+1/2,-y+1/2,z'
'x+1/2,-y+1/2,-z'
'-x+1/2,y+1/2,-z'
loop_
_atom_site_label
_atom_site_fract_x
_atom_site_fract_y
_atom_site_fract_z
Cs1 0.250 0.250 0.242
Zr1 0.000 0.000 0.500
Ag1 0.000 0.000 0.000
Ag2 0.000 0.500 0.500
Te1 0.245 0.106 0.744
```

## Properties
energy relative to the elements, uncorrected = -775 meV/atom
total DFT energy (no corrections) = -77.35 eV for the cell shown

=====

(4)
A geometry-optimized CsTiAg3 structure, computed with GGA-PBEsol.

The structure in CIF format:
```
data_CsTiAg3
_cell_length_a 5.566
_cell_length_b 5.566
_cell_length_c 5.566
_cell_angle_alpha 90.00
_cell_angle_beta 90.00
_cell_angle_gamma 90.00
_symmetry_space_group_name_H-M 'P m -3 m'
_symmetry_Int_Tables_number 221
_symmetry_space_group_name_Hall '-P 4 2 3'
loop_
_atom_site_label
_atom_site_fract_x
_atom_site_fract_y
_atom_site_fract_z
Cs1 0.000 0.000 0.000
Ti1 0.500 0.500 0.500
Ag1 0.000 0.000 0.500
```

## Properties
total DFT energy (no corrections) = -9.67 eV for the cell shown

=====

(5)
A geometry-optimized CsTlAg structure, computed with GGA-PBEsol.

The structure in CIF format:
```
data_CsTlAg
_cell_length_a 5.389
_cell_length_b 4.724
_cell_length_c 8.435
_cell_angle_alpha 90.00
_cell_angle_beta 95.88
_cell_angle_gamma 90.00
_symmetry_space_group_name_H-M 'P 1 21/m 1'
_symmetry_Int_Tables_number 11
loop_
_symmetry_equiv_pos_as_xyz
'x,y,z'
'-x,-y,-z'
'-x,y+1/2,-z'
'x,-y+1/2,z'
loop_
_atom_site_label
_atom_site_fract_x
_atom_site_fract_y
_atom_site_fract_z
Cs1 0.234 0.250 0.346
Tl1 0.332 0.250 0.861
Ag1 0.151 0.750 0.009
```

## Properties
total DFT energy (no corrections) = -13.93 eV for the cell shown

=====

(6)
A geometry-optimized CsTl3Ag structure, computed with GGA-PBEsol.

The structure in CIF format:
```
data_CsTl3Ag
_cell_length_a 5.564
_cell_length_b 5.564
_cell_length_c 5.564
_cell_angle_alpha 90.00
_cell_angle_beta 90.00
_cell_angle_gamma 90.00

== Assignment ==
It remains to duplicate only the lines further up with the word "Cs2ZrAg2Te4" in them.

== Here it is ==
A geometry-optimized Cs2ZrAg2Te4 structure, computed with GGA-PBEsol.